The title of Mark Bauerlein‘s book is somewhat provocative. It’s called, “The Dumbest Generation, How the Digital Age Stupefies Young Americans and Jeopardizes Our Future.” As I am very much an advocate for incorporating technology in the classroom, it’s not too unexpected that I disagree with large parts of his thesis.

-- Unrelated to this piece: molecular data --
┌──
88
Properties=species:S:1:pos:R:3:forces:R:3 method="wB97M-V/def2-TZVPD" e_above_lowest_kcal_mol=0.0 gap_ha=0.3283
C 15.042 10.821 13.878 0.68 -1.00 0.08
C 14.401 9.671 14.717 -2.03 2.06 -0.16
C 15.306 9.282 15.852 0.11 0.52 1.00
C 13.010 10.325 15.322 1.03 -0.91 0.16
C 12.050 9.239 15.814 0.49 1.06 -0.80
C 11.831 8.218 14.695 -0.53 -0.10 1.54
C 13.101 7.525 14.218 -0.46 -1.63 -1.64
C 13.604 6.516 15.320 0.10 0.55 -0.57
C 12.697 6.746 12.861 0.57 -0.36 0.87
N 14.042 8.551 13.821 0.27 1.34 -0.77
O 15.233 8.040 13.176 -0.55 -0.26 1.04
H 15.489 11.619 14.471 -0.35 -0.07 0.43
H 15.903 10.361 13.393 0.05 0.18 -0.41
H 14.394 11.290 13.137 -0.19 -0.36 0.00
H 16.202 8.734 15.561 -0.25 -0.22 -0.10
H 15.640 10.188 16.358 0.19 0.19 -0.11
H 14.734 8.787 16.637 0.22 -0.51 -0.14
H 13.208 10.961 16.185 0.76 -0.05 0.14
H 12.522 11.049 14.669 0.10 -0.48 -0.79
H 12.467 8.881 16.755 -0.15 -0.64 -0.11
H 11.110 9.731 16.067 -0.20 -0.17 0.05
H 11.240 8.690 13.909 0.36 0.09 -0.32
H 11.168 7.471 15.133 -0.03 -0.44 -0.26
H 13.589 7.039 16.276 0.02 -0.26 0.06
H 14.620 6.164 15.139 0.12 0.31 -0.18
H 13.017 5.600 15.399 -0.42 0.23 -0.12
H 13.522 6.167 12.446 0.35 0.15 0.23
H 12.336 7.352 12.030 0.04 0.63 0.35
H 11.926 5.992 13.023 -0.22 0.09 0.47
H 15.198 8.410 12.291 -0.19 0.09 -0.10
C 8.875 11.323 13.589 1.58 2.40 0.28
O 8.380 10.127 13.294 -1.39 -2.79 1.54
C 7.774 10.040 12.089 -0.86 -3.59 -1.86
C 7.160 8.564 11.959 1.09 -0.25 1.33
C 8.214 7.384 12.176 -0.36 2.17 0.15
N 6.498 8.315 10.704 -0.39 -0.10 -0.70
H 9.599 11.592 12.820 0.54 0.42 0.00
H 9.369 11.233 14.557 -0.01 0.38 0.03
H 8.147 12.133 13.563 -0.32 0.13 0.34
H 6.912 10.689 11.934 0.31 0.68 -0.12
H 8.568 10.046 11.342 -0.29 0.80 -0.77
H 6.375 8.472 12.710 0.36 0.17 0.81
H 9.027 7.807 12.767 0.08 -0.23 0.20
H 8.644 7.115 11.211 -0.23 -0.23 -0.02
H 7.790 6.542 12.722 -0.04 -0.02 -0.27
H 5.572 8.715 10.758 -0.19 0.61 -0.30
H 6.258 7.338 10.788 0.12 -0.49 -0.58
C 16.093 11.525 8.556 -0.78 -1.81 -0.36
O 15.690 10.143 8.459 -1.02 -0.07 0.02
C 14.662 9.940 7.498 -0.15 -0.37 -0.42
C 14.174 8.514 7.569 -0.30 -0.01 -0.54
C 13.140 8.131 6.522 1.79 0.90 -1.05
N 13.473 8.279 8.777 0.24 0.04 2.33
H 16.716 11.528 9.451 0.29 0.55 -0.44
H 15.197 12.133 8.681 0.11 0.32 0.08
H 16.552 11.687 7.581 0.56 0.93 0.35
H 13.781 10.573 7.601 0.07 0.54 0.50
H 15.010 10.083 6.475 0.49 0.29 -0.20
H 15.074 7.902 7.517 0.09 -0.40 -0.38
H 13.648 8.358 5.585 -0.35 -0.56 -0.58
H 12.278 8.798 6.547 -0.21 -0.38 0.37
H 12.954 7.064 6.645 -0.46 0.18 -0.32
H 14.180 8.299 9.499 -0.01 -0.01 0.67
H 13.113 7.335 8.789 -0.14 -0.21 0.11
C 10.741 6.492 9.252 -0.91 -0.92 0.93
O 11.923 5.727 9.162 0.84 0.11 -0.56
H 9.925 5.776 9.354 -0.48 0.23 -0.32
H 10.724 7.045 10.191 0.13 0.50 -0.15
H 10.562 7.129 8.385 0.37 -0.07 0.07
H 11.805 4.888 9.615 -0.02 0.12 0.01
C 11.345 10.239 10.701 0.06 -1.38 1.12
O 12.365 10.596 9.857 0.80 2.33 -0.83
H 11.844 9.751 11.539 -0.48 -0.30 0.70
H 10.782 11.074 11.118 -0.12 0.05 -0.60
H 10.772 9.478 10.172 -0.92 0.17 0.37
└──
Yes there is probably an important link between the brain and the hand that facilitates creative work. But it does not necessarily follow that, “Writing by hand, students will give more thought to the craft of composition. They will pause over a verb, review a transition, check sentence lengths …” (Bauerlein, 2010). As we work on habits of revision there seems to be no real reason why they should spend more time on improving a sentence they’ve hand written than one they’ve typed. True, if students are conditioned to write in short rapid bursts of texting it will translate into their other writing, but it is the role of the teacher to help them delineate these different genres of writing. I also have not seen the evidence that writing by hand is any less abstract than writing by typing on a keyboard. We are already expressing ideas using an abstract medium, words, why is one form of expression better than the other?
Where I do agree with Bauerlein is on the need to take breaks, even substantial ones, from technology and the online world. Where I see the greatest need for this is in aiding student’s comprehension of the natural world. You live too long in the virtual world and you begin to translate that experience into the real world. Yet the virtual world remains a model of the real one. It is simplified and enhanced to make it a more enjoyable experience, so the lessons you learn there do not truly apply to the real world. In addition, physical experience in the virtual world, at least for now, cannot create the kinesthetic, mind-body understanding of the laws of physics and biology that you learn from real-world games and just walking along the nature trail. This is why I am a firm believer in our week-long immersions every six weeks.
So I continue to allow my students to introduce new technology to the classroom, as long as they can show me that it is effective in helping them learn. The latest thing is the proliferation of iPod Touches. I like the iPods because of apps like iSeismo that lets you monitor vibrations in 3D. However, on our recent visit to the Le Bonheur Hospital a number of my students took their notes on their iPods. I personally don’t believe that these are more effective than pencil and paper because you can’t combine text and images very effectively on an iPod, but they did take copious notes (which they were quite proud to show me). I’m planning on giving them a quick quiz to see what they learned from the trip so we’ll see just how effective their note taking was.
We’re all swimming in a sea of new technologies, and we can’t really tell what will benefit and what will hinder without trying them out. So, I at least conclude that the key goal of middle school education should be to create in students a core competence and confidence that will help students navigate steadily in this world of much information and rapidly changing fads. A fundamental understanding of the mechanisms that underlie people’s behavior is key. Know yourself and understand how societies behave. The first is not trivial and the second requires drawing general conclusions from a lot of historical data, which is quite challenging for most adolescents, but that’s why we teach the way we do.
Note: There is an interesting discussion of the use of technology in the traditional classroom going on now on Will Richardson blog post “The Big Questions: Now What?“